In Support of Richard Stallman

Normalizing Truth, Reason, Justice

____________
# 1
The following is a DFT calculation (wB97M-V/def2-TZVPD) of a molecular structure, C11H23INO2P2Sr at a distorted geometry.

Structure (XYZ):
```
41
Properties=species:S:1:pos:R:3:forces:R:3
Sr 0.1726 1.2542 1.3345 0.875 -2.647 -0.856
P 2.3831 -0.8241 1.4808 -0.263 -0.339 0.301
C 2.2415 -0.5963 -0.2614 0.330 -0.318 -2.728
C 1.0139 -1.1760 -0.9434 1.074 1.237 1.088
N -0.1768 -0.6441 -0.5356 -0.821 -1.414 -0.656
C -1.3104 -1.2153 -1.0624 0.350 0.800 0.891
C -1.2725 -2.2323 -1.9969 -2.014 -0.185 -0.385
C -0.0654 -2.6907 -2.4593 1.498 0.322 0.293
C 1.1104 -2.1442 -1.9398 -0.530 -0.136 0.032
C -2.6648 -0.7262 -0.5458 -0.005 -0.073 0.091
P -2.6205 0.8834 0.3883 -0.509 -0.599 -0.904
H 2.1125 -2.4509 -2.2310 -0.360 -0.158 -0.063
H -2.2536 -2.6450 -2.3827 1.372 0.486 0.510
H 0.0057 -3.4780 -3.1795 -0.122 -0.300 -0.384
H -3.3664 -0.6060 -1.3974 0.287 -0.169 0.480
H -3.1095 -1.4674 0.1535 0.334 0.229 -0.484
H 2.1244 0.7860 -0.4797 0.537 -1.663 0.024
H 3.2059 -0.8472 -0.8336 -1.325 0.015 0.829
H 0.8047 2.9945 -0.3079 2.621 -1.047 -1.301
O 1.9738 1.9063 -0.4959 0.079 3.000 -0.541
H 2.5552 2.3925 -1.1383 -0.713 -0.900 0.942
H 0.0354 3.3923 1.4244 -0.269 1.784 1.543
O -0.0139 3.4495 -0.1470 -2.123 2.955 1.649
H 0.1687 4.4365 -0.1118 -0.292 -1.625 -0.323
C -2.8830 2.0130 -1.0295 0.082 0.473 -0.004
H -3.8919 1.8529 -1.4415 0.382 0.084 0.065
H -2.7824 3.0515 -0.6796 -0.131 -0.265 -0.271
H -2.1291 1.8398 -1.8129 -0.210 0.047 0.288
C -4.2756 0.8691 1.1520 -0.042 0.196 0.413
H -4.2632 1.6160 1.9605 -0.273 -0.258 -0.240
H -5.0564 1.1256 0.4221 0.197 -0.171 0.266
H -4.4702 -0.1207 1.5907 -0.007 0.365 -0.086
C 2.2661 -2.6330 1.6753 0.001 -0.016 0.675
H 3.2086 -3.0822 1.3482 -0.216 -0.132 0.033
H 2.0813 -2.8473 2.7343 0.137 -0.293 -0.200
H 1.4331 -3.0221 1.0855 0.080 0.040 0.070
C 4.1611 -0.5323 1.7865 -0.181 0.184 0.305
H 4.2876 -0.3191 2.8547 0.213 -0.116 -0.248
H 4.7201 -1.4318 1.5081 0.037 0.270 0.017
H 4.5039 0.3332 1.2114 -0.030 -0.149 0.095
I 0.0362 3.5359 3.3017 -0.047 0.486 -1.225
```
Positions in Å, forces in eV/Å.

Values from the calculation:
total charge: +1
relative energy (zero: lowest compared OMol25 entry of this formula, charge and spin): 2.206 eV
LUMO level: -2.98 eV

Just the Mulliken charges please, in e? Sure, here they are:
1 Sr 1.14
2 P 0.51
3 C -0.90
4 C 0.39
5 N 0.56
6 C 0.11
7 C -0.64
8 C -0.50
9 C -0.92
10 C -0.89
11 P 0.34
12 H 0.45
13 H 0.36
14 H 0.46
15 H 0.48
16 H 0.43
17 H -0.23
18 H 0.67
19 H 0.51
20 O -0.80
21 H 0.14
22 H 0.14
23 O -0.53
24 H 0.39
25 C -1.22
26 H 0.49
27 H 0.34
28 H 0.32
29 C -1.13
30 H 0.36
31 H 0.34
32 H 0.36
33 C -1.22
34 H 0.35
35 H 0.37
36 H 0.31
37 C -1.22
38 H 0.37
39 H 0.35
40 H 0.33
41 I -0.18

=====

# 2
The following is a DFT calculation (wB97M-V/def2-TZVPD) of a molecular structure, C11H23N2O5P2Sr at a distorted geometry.

Structure (XYZ):
```
44
Properties=species:S:1:pos:R:3:forces:R:3
Sr 0.9511 -0.4093 -1.1423 -1.013 -0.404 1.121
P -1.7572 -1.7319 -0.5600 -0.282 0.077 0.009
____________
# End of the data records

This website refutes many of the invalid accusations against Richard Stallman that were used to cancel him. It's the result of careful research from a rational and objective standpoint. It shows the truth, backed by the testimony of conscientious and thoughtful people. We invite you to explore it and join our efforts to give Stallman's visionary voice in the free software movement the space it deserves.

People are adding to their email signatures, social media profiles, etc. Great! Let's take it to the next level and get together to Help the GNU Project!

/*
Entry 1:
This record from the Open Molecules 2025 dataset describes a molecular structure, C23H22N4O4Ru. The level of theory is wB97M-V/def2-TZVPD.

E = -1503.93005 a.u.
HOMO-LUMO gap (alpha / beta) = 4.50 / 5.71 eV
LUMO energy (alpha / beta) = -9.60 / -8.87 eV
net charge = +2

Each line ends with the Mulliken charge.
CARTESIAN COORDINATES (ANGSTROEM)
Ru 1.503877 0.194243 -0.045915  0.65
O -5.510162 1.240270 1.720835  -0.52
O -4.694580 -2.122374 -0.504155  -0.61
O 1.663222 -1.535715 0.801540  -0.90
O 0.907298 1.942353 -0.867462  -0.84
N -4.257599 -0.115916 0.434760  -0.11
N -0.229170 -0.700511 -0.854516  0.57
N 3.386716 1.065242 -0.084274  0.15
N 1.895611 0.818670 1.949029  0.23
C -3.941004 -1.191658 -0.305338  0.11
C 1.107929 2.544941 -4.391148  -0.57
C 3.354743 2.175097 -3.503076  -0.66
C 3.724438 1.765385 -1.094556  0.20
C -1.462656 -0.590040 -0.334698  -0.70
C 0.081068 -3.037617 1.706695  -0.20
C -2.551103 -1.225764 -0.898752  0.53
C 1.414307 2.056643 -2.031830  0.75
C 3.033172 1.721460 2.107456  -0.64
C -5.579902 0.022895 1.024651  -0.39
C -0.037188 -1.447910 -1.952393  -0.66
C 0.563748 -0.964145 2.848677  0.14
C -2.346918 -2.009621 -2.027564  -0.15
C 2.843473 1.952532 -2.247239  0.15
C 4.099062 1.154848 1.181401  -0.64
C -0.336034 -1.315315 3.859935  -0.75
C -1.076006 -2.110038 -2.571941  -0.90
C 2.500097 2.441012 -4.581498  -0.55
C -0.833408 -3.351326 2.693293  -0.59
C 0.783277 -1.834765 1.762315  0.77
C 1.398963 0.200133 2.955158  -0.02
C 0.571643 2.377523 -3.147305  -0.41
C -1.052618 -2.488907 3.771039  -0.66
H -1.380417 -4.282710 2.632233  0.46
H 0.466708 2.777483 -5.230392  0.44
H 0.288305 -3.713867 0.887375  0.54
H 2.917974 2.589702 -5.568225  0.43
H -0.477057 -0.650803 4.703591  0.49
H -0.884825 -2.714535 -3.446857  0.49
H -5.773026 -0.833223 1.675280  0.30
H 1.694631 0.515414 3.956696  0.41
H -1.548381 -0.008921 0.574385  0.45
H 3.389313 1.748564 3.137404  0.41
H 4.425912 2.137853 -3.657801  0.47
H -0.487998 2.491194 -2.960898  0.53
H -3.189993 -2.543931 -2.447565  0.54
H 0.980693 -1.530832 -2.321493  0.56
H 4.979171 1.794284 1.117061  0.38
H 4.389574 0.155394 1.505148  0.27
H 4.680696 2.287554 -1.095627  0.42
H -6.357521 1.430639 2.135402  0.32
H -3.687889 0.713820 0.461233  0.25
H -6.338931 0.027819 0.237337  0.31
H 2.753618 2.727419 1.791826  0.27
H -1.764852 -2.749942 4.540762  0.49

Atomic forces in eV per Å
Ru 2.5 2.1 1.3
O 0.1 -0.1 0.0
O 0.0 0.0 0.0
O -0.5 -0.1 -0.7
O -0.6 -1.8 2.4
N 0.0 0.0 0.1
N -0.7 0.2 0.5
N -1.0 -0.5 0.4
N -0.8 -0.5 -1.1
C 0.0 0.0 0.0
C 0.5 0.0 -0.1
C -0.2 0.4 -1.6
C -0.3 0.2 -1.3
C 0.0 0.0 -0.1
C 0.1 -0.4 0.0
C 0.0 0.0 0.0
C 0.6 0.4 -2.7
C 0.3 0.2 0.1
C -0.1 0.0 0.0
C 0.1 0.0 0.0
C -0.2 0.2 0.1
C 0.0 0.0 -0.1
C -0.7 -0.3 1.3
C -0.1 0.1 0.3
C 0.1 0.1 0.0
C 0.0 0.0 0.0
C 0.5 -0.1 0.6
C 0.0 0.0 -0.1
C 0.2 0.0 -0.2
C 0.1 0.0 0.2
C 0.4 -0.1 0.9
C 0.0 0.0 0.0
H 0.0 0.0 0.0
H 0.0 0.0 0.0
H -0.1 0.0 0.0
H 0.0 0.0 0.0
H 0.0 0.0 0.0
H 0.0 0.0 0.0
H 0.0 0.0 0.1
H 0.0 0.1 -0.1
H 0.0 0.1 0.0
H -0.2 0.0 0.0
*/


New additions or modifications to the website will be listed here. Stay tuned!
You can also subscribe to our RSS Feed

Inserted here: calculated molecules >
# C36H40B2N9OPdSe

A structure of composition C36H40B2N9OPdSe (ωB97M-V/def2-TZVPD, the OMol25 dataset).

```
90
Properties=species:S:1:pos:R:3:mulliken_spin:R:1
Pd -0.190 -0.156 0.046 1.451
C 0.621 5.137 -1.279 0.001
C 0.314 3.721 -1.631 0.009
C -0.036 3.192 -2.852 -0.021
C -0.215 1.822 -2.634 -0.052
N 0.003 1.537 -1.349 0.179
N 0.332 2.709 -0.734 0.023
B 0.574 2.806 0.777 -0.044
N 1.792 1.839 1.152 0.185
N 1.733 0.558 0.933 0.332
C 2.934 0.007 1.331 0.137
C 3.746 1.072 1.829 0.084
C 3.020 2.210 1.690 -0.049
C 3.347 3.616 2.038 0.002
C 3.236 -1.373 1.300 0.117
C 4.337 -1.845 2.075 0.080
C 4.601 -3.183 2.171 0.000
C 3.790 -4.098 1.487 0.163
C 2.742 -3.663 0.679 -0.010
C 2.474 -2.322 0.567 0.051
N -0.630 2.374 1.594 0.007
N -1.244 1.195 1.326 0.180
C -2.302 1.091 2.126 0.017
C -2.364 2.232 2.944 0.015
C -1.303 3.024 2.572 -0.008
C -0.895 4.362 3.085 0.000
C -3.193 -0.078 2.139 -0.021
C -3.369 -0.873 1.013 0.011
C -4.152 -2.013 1.071 0.004
C -4.785 -2.363 2.256 0.000
C -4.645 -1.555 3.374 0.001
C -3.853 -0.420 3.317 -0.001
C -0.554 0.821 -3.662 -0.039
C -1.441 1.171 -4.679 0.005
C -1.745 0.273 -5.689 0.003
C -1.151 -0.982 -5.708 -0.002
C -0.257 -1.334 -4.708 -0.002
C 0.033 -0.440 -3.688 0.005
H 0.539 5.753 -2.171 0.000
H 1.631 5.242 -0.884 0.000
H -0.072 5.522 -0.532 0.000
H -0.117 3.722 -3.785 0.002
H 0.896 3.912 1.070 -0.002
H 4.748 1.006 2.214 0.000
H 4.328 3.652 2.506 0.001
H 2.615 4.030 2.731 0.000
H 3.360 4.250 1.152 -0.001
H 4.937 -1.141 2.634 -0.003
H 5.417 -3.538 2.783 0.004
H 3.989 -5.158 1.579 0.002
H 2.132 -4.383 0.153 0.008
H 1.682 -1.994 -0.090 0.010
H -3.113 2.469 3.678 0.001
H -1.557 4.653 3.898 0.001
H -0.954 5.125 2.309 0.000
H 0.125 4.352 3.469 0.000
H -2.909 -0.596 0.073 -0.017
H -4.260 -2.640 0.195 0.000
H -5.381 -3.264 2.307 0.000
H -5.137 -1.819 4.300 0.000
H -3.720 0.183 4.205 0.000
H -1.913 2.145 -4.668 0.000
H -2.439 0.558 -6.469 0.000
H -1.373 -1.675 -6.510 0.000
H 0.231 -2.300 -4.732 -0.001
H 0.733 -0.728 -2.911 0.065
C -3.250 -1.424 -2.714 -0.002
N -2.461 -2.651 -2.738 0.003
C -2.898 -3.737 -3.605 0.001
C -1.323 -2.708 -2.047 0.012
C -0.449 -3.923 -2.187 0.005
O -0.972 -1.781 -1.295 0.021
H -3.925 -1.435 -3.566 0.000
H -2.594 -0.559 -2.794 0.001
H -3.834 -1.345 -1.797 0.000
H -3.976 -3.666 -3.729 0.000
H -2.679 -4.705 -3.162 0.000
H -2.429 -3.676 -4.590 0.000
H -0.327 -4.222 -3.227 0.000
H -0.884 -4.763 -1.642 0.000
H 0.522 -3.694 -1.757 0.000
Se 3.027 0.852 -2.194 0.789
C 4.076 0.178 -3.507 -0.059
N 4.734 -0.275 -4.342 0.205
B -0.221 -3.680 3.351 0.005
C -0.248 -2.535 2.272 -0.014
N -0.195 -1.700 1.474 0.151
H -0.735 -4.646 2.823 -0.001
H -0.850 -3.288 4.306 0.001
H 0.952 -3.874 3.609 0.001
```

Properties
<S²>: 6.05
Charge: +1
LUMO level (spin up / spin down) in eV: -3.2123 / -6.5317
Spin multiplicity: 5
Frontier orbital gap (spin up / spin down) in eV: 7.6 / 4.3

***

# C26H44BrN3OP2Pt

A structure of composition C26H44BrN3OP2Pt in a non-equilibrium geometry (ωB97M-V/def2-TZVPD, the OMol25 dataset).

```
78

  • October 9, 2024
    • In light of further research and new information we've got, we have updated the “ Suicide” entry in the debunking page.
    • We made some minor, mostly cosmetic changes in that page too.
  • March 18, 2024
    In celebration of RMS's birthday, we've been playing a bit.
    • We extracted some quotes from the various articles, comments, letters, writings, etc. and put them in the form of a slideshow in the home page.
    • We also put all the slides in a dedicated page.
    • While at it, we added some whois info about the various people, for the curious but too lazy to go search, following the links might be easier.
    We had fun, hope you will too. Thanks!
  • February 23, 2024
    Bonnie B. Dalzell sent us a message to tell us more about herself, MIT and Richard Stallman in the mid 1970s (this is in addition to another comment she had posted elsewhere).
  • January 31, 2024
    A letter to Selam Jie Gano in response to her (in)famous blog post.
  • January 30, 2024
    We had forgotten to include Thomas Lord's statements. Our inattention is too bad to be justified. Thomas was a former FSF's employee from the early 90s. RIP, Thomas.
  • December 12, 2023
    Changed the id value in the Basilio meme from #calumny to #Basilio. It may come handy as a hashtag to name Basilio's advocates and connoisseurs of the Basilian infallible method. #Basilio.
  • December 11, 2023
    Added a meme with the lyrics of the aria “La calunnia è un venticello” (“Calumny is a little breeze”) from Rossini's opera buffa The Barber of Seville. As buffa and à la mode as it can be.
  • November 28, 2023
    Various changes (thanks everyone!):
    • Replaced the word “Dialogue” with “Justice” in the header.
    • Replaced the top banner about the support letter with one that states the purpose of the website.
    • Moved the dedication notice from the homepage to the About page. Other minor changes in that page.
    • Considerably rewrote the homepage.
    • Added an item about the Virgin of Emacs in the debunk page. Other minor changes in that page.
    • In the debunk page, asked readers whether we should include information about the accusers.
    • Added some information in the introduction of Commitment to social justice.
  • November 03, 2023
    Added a link to an article by Lubos Rendek. Written after attending Stallman's speech in the capital city of the Czech Republic on October 1, 2023. Reflections on Stallman's steadfast and continued work towards software freedom, justice, and truth despite a critical health condition.
  • November 01, 2023
    Added a Message of Encouragement – Remembering The Good Old Times from Eve Diana.
  • June 23, 2023
    Richard Stallman has a new pleasure card.
  • June 11, 2023
    Chrystalleni Loizidou from Cyprus calls the community to ignore defamation campaigns and engage instead in “wise, kind and meaningful activism.”
  • May 28, 2023
    Someone suggested we should improve the debunking about the pleasure card, so we did.
  • May 04, 2023
    Added a message of support by Javier González.
  • May 03, 2023
    Added RSS Feed.
  • May 01, 2023
    Added a link to another article by Sylvia Paull published in an external website.
  • April 21, 2023
    • Added some posts from RMS's website that provide evidence he is not transphobic.
    • Updated a paragraph in the home page to say it's no longer possible to sign the support letter. Those who want to show support can send us comments, articles, testimonies, references, for us to publish.
  • April 20, 2023
    Added a comment of support from a transgender person.
  • April 15, 2023
    • Added a couple of notes. One to say all articles of support in this website are by women, and prompt men and other genders to send us their writings. Another to acknowledge support received by women who did not want their names to be published.
    • Replaced the word "Articles" with "Voices" in titles and Table of Contents and some titles.
    • Cosmetic changes (banner, colors).
  • June 24, 2022
    Added a letter in support of Richard Stallman by Francisca Pacheco López.
  • March 31, 2022
    Added a link to an article by Laura Kipnis about snitches in academia.
  • March 20, 2022
    Added a Happy Birthday Card for RMS made by Adrienne G. Thompson.
  • March 3, 2022
    Added a new page about some messages and a letter sent to us by Ukrainians from bomb shelters.
  • January 19, 2022
    Update the banner about the letter of support to say the repo has been archived and signatures are no longer accepted. The repo closed with a total of 6,876 signatures.
  • October 25, 2021
    Added a testimony in defense of Richard Stallman by Beatriz Busaniche.
  • October 3, 2021
    Added a link to an article on The Atlantic about mob justice today by the “new puritans.”
  • September 29, 2021
    • New page, Welcome Back, Richard Stallman. Ukrainians welcome RMS back to in-person speeches and to the Board of Directors of the FSF (videos).
    • Added a comment by someone who attended Stallman's speech in Ukraine on Sept 18, 2021.
  • September 26, 2021
    Added an email sent to the Debian developers' mailing list about how RMS was labeled “ableist” because of his opinion on prenatal diagnosis.
  • September 25, 2021
    Added Japanese translation of Wilcox's Ritual Defamation.
  • August 27, 2021
    Reworded the introductory paragraph at Debunking False Accusations Against Richard Stallman.
  • June 21, 2021
    Added a link to an article by renowned author Chimamanda Ngozi Adichie in which she explains how she was shunned on Twitter by her own friend.
  • June 04, 2021
    Added Russian translation of Wilcox's Ritual Defamation.
  • May 26, 2021
    Added instructions to sign the letter in support of RMS without GitHub, mainly for non technical people.
  • May 18, 2021
    Added a link to another article by Dave Winer, this one written more recently. Pleading for Stallman.
  • May 13, 2021
    Added a reference to a tweet about RMS handing over a “stuffed animal” to a woman inside the elevator, under Running Jokes in the debunking page.
  • May 8, 2021
    Added the cover of the book by Marge Piercy, along with snippets from the book that show the use of the genderless pronouns person, per, and pers in the novel. Claim #7.
  • May 6, 2021
    Added an email sent to the LibrePlanet mailing list about how cultural background influences verbal communication styles.
  • May 3, 2021
  • May 1st, 2021
    • Added a picture of RMS kneeling down to reach a handicapped student in Claim #6, “Richard Stallman is an ableist”.
    • Added a quote by RMS in Who is Richard Stallman about why he quit his job at MIT in 1984.
  • April 30, 2021
    Added two links under External Related Articles:
  • April 27, 2021
    Added a new page to publish various testimonies, letters, writings, and more, that readers send us.
  • April 26, 2021
  • April 25, 2021
    Added a meme that shows RMS in the Middle Ages about to be stoned. Thanks to Predrag from the Libre Computer Club in Norway (
  • April 23, 2021
    Added Claim #6 and Claim #7 (plus minor, mostly cosmetic changes) in Debunking False Accusations Against Richard Stallman.
  • April 20, 2021
    Added a link to the excellent short article by Laird Wilcox on The Practice of Ritual Defamation.
  • April 19, 2021
    Added a call to help the GNU Project in the top banner in the home page.
  • April 18, 2021
    • Published new article by Margarita Lacabe.
    • Added a meme that shows the various defamatory headlines (thanks to reader Chloe93 for this awesome meme!)
    • Added a link to the defamation meme in the home page.
    • Added a link to Dave Winer's article.
    • Added a notice to mention that people are adding to their email signatures, social media profiles, etc.
  • April 13, 2021
    • Added new article by Karrie Peterson.
    • Added item 5 under Claim #5 about the pleasure card.
    • Re-arranged the paragraphs and some minor rewording under Claim #4, after readers' feedback (thanks!)
  • April 11, 2021
    Added the “vi-user” running joke under Claim #5 in Debunking False Accusations Against Richard Stallman.
  • April 10, 2021
    Added Claim #5 “Richard Stallman is a misogynist” in Debunking False Accusations Against Richard Stallman.
  • April 9, 2021
  • April 7, 2021
    • Added a link to Bruce Peren's article on the Non-Judicical Punishment of Individuals.
    • Improved the Table of Contents for better navigation.
  • April 6, 2021